Chapter 6-Evaluating 3 S Education James and Kelly McVey
Assessment versus Evaluation “Assessing is gathering evidence of content knowledge skills” (Henderson & Gornik, 2007, p. 149) “Evaluating is the case-by-case value judgment of the quality of the teachers’ and students’ 3S journey of understanding” (p. 149)
Curriculum Wisdom Paradigm and assessments Focuses of formative evaluations- using formal and informal assessments throughout the learning process Focuses on using Real World Application Focuses on Connoisseurship and Critical Capacities “Connoisseurship, generally defined, is the art of perception. It is essential to criticism because without the ability to perceive what is subtle and important, criticism will be superficial and even empty” (as cited in Henderson & Gornik, 2007, p. 215)
Examples “Describe advances and issues in Earth and space science that have important long-lasting effects on science and society” (Ohio Department of Education, 2002) “Describe an experience in which you were personally affected by advances and issues in Earth and space science and prepare a position paper for publication, which argues for sustaining the planet and its occupants”
Our Examples Evaluate the origins, life experiences, and contributions of immigrants, and the ways in which they responded to assimilation. (902.12) HCPSS Interview a recent immigrant about their immigrant experience and process of becoming assimilated into American society and compare their experience to the immigrants of the late 1800s/early 1900s.
Records of molecules, as found in the file:
- - -
(1)
Molecular formula: C19H36B2F9NO9PS3
Method: DFT, ωB97M-V with the def2-TZVPD basis set

The value obtained for the HOMO energy is -3.30 eV. Its net charge is -1. The electronic energy comes out at -3961.98021 Ha. As for the HOMO-LUMO gap: 5.159 eV.

Each line ends with the Löwdin charge.
Geometry (Å):
S (5.46524, 5.34620, 3.03916)  0.67
S (-6.87935, 2.23158, -5.81183)  0.66
S (-6.10946, -4.54967, -3.22592)  0.67
P (3.93844, 1.02171, 1.29565)  0.92
F (0.99594, -4.16906, 3.42322)  0.01
F (-2.72263, -0.24243, 2.92367)  0.11
F (0.70234, -2.01386, 4.04954)  0.04
F (-1.88516, -2.88430, 3.28708)  0.10
F (0.46889, -1.85158, 0.68909)  0.11
F (-1.92372, -0.26258, 0.83454)  0.09
F (-2.26163, -2.72020, 1.07908)  0.05
F (-0.09828, -4.02734, 1.21346)  0.07
F (-0.51342, 0.06786, 2.53286)  0.14
O (-5.73194, 2.77079, -5.12039)  -0.32
O (2.72486, 0.43655, 0.21491)  -0.40
O (-6.84084, -5.78366, -3.05410)  -0.32
O (5.55710, 3.98389, 2.57653)  -0.33
O (5.09628, -2.39927, 0.46274)  0.02
O (4.30676, 5.84712, 3.74291)  -0.32
O (-6.47157, -3.57450, -4.23142)  -0.34
O (5.20546, 0.07614, 3.54271)  -0.12
O (-7.69446, 3.03610, -6.69422)  -0.34
N (6.82649, -1.77391, 2.17655)  0.09
C (-1.62547, -0.65757, 2.15420)  -0.36
C (-4.72606, -4.29874, -1.01852)  -0.22
C (3.16946, 2.24371, 2.56579)  -0.30
C (-4.36770, -4.93426, -3.37537)  -0.22
C (-7.93218, 1.41258, -4.61776)  -0.23
C (-3.68893, -4.33163, -2.14286)  -0.21
C (-6.57260, -0.36360, -5.65922)  -0.23
C (6.92607, 5.71673, 3.99552)  -0.23
C (-7.91161, -0.07505, -4.97828)  -0.22
C (5.84267, 6.43775, 1.67110)  -0.22
C (3.04135, -1.14172, 3.04715)  -0.15
C (7.93111, 6.22066, 2.96767)  -0.23
C (7.14594, 7.15076, 2.03959)  -0.23
C (1.07988, -2.81651, 2.93638)  -0.29
C (-5.99538, -3.73364, -1.64297)  -0.23
C (-1.42122, -2.23775, 2.12633)  -0.20
C (0.06591, -2.70446, 1.71256)  -0.24
C (2.62992, -2.59162, 2.52017)  -0.07
C (-6.37669, 0.75362, -6.67646)  -0.24
B (5.41698, -1.60445, 1.63214)  -0.50
B (4.41985, -0.50843, 2.39251)  -0.89
H (7.26096, 4.82417, 4.52260)  0.11
H (7.71946, 7.40920, 1.14686)  0.11
H (-7.51663, 1.58946, -3.62471)  0.11
H (-4.26315, -6.01988, -3.39892)  0.11
H (-6.56374, -1.34542, -6.13500)  0.11
H (8.33315, 5.38000, 2.39373)  0.12
H (-7.04160, 0.62648, -7.53324)  0.11
H (8.76792, 6.73526, 3.44417)  0.11
H (6.91965, 8.08382, 2.56560)  0.11
H (2.20616, 2.71635, 2.15470)  0.04
H (-3.98123, -4.50390, -4.29924)  0.10
H (3.12437, -1.11195, 4.18937)  0.12
H (-8.72834, -0.29714, -5.67226)  0.12
H (-2.80477, -4.90584, -1.86004)  0.12
H (-4.90819, -5.31462, -0.65411)  0.12
H (-5.89989, -2.66143, -1.82660)  0.11
H (-4.38997, -3.69291, -0.17543)  0.11
H (-8.05636, -0.69714, -4.09296)  0.11
H (-6.89033, -3.93566, -1.05553)  0.11
H (2.67311, -2.72447, 1.39783)  0.12
H (5.02250, 7.14254, 1.53497)  0.10
H (3.91285, 3.05724, 2.87292)  -0.01
H (2.84436, 0.95533, -0.60252)  0.01
H (6.66692, 6.50098, 4.70995)  0.11
H (3.24435, -3.37540, 3.07407)  0.14
H (5.42403, -0.62607, 4.18251)  0.06
H (-5.76852, -0.34001, -4.91732)  0.12
- - -
Your Turn Geometry- Define and apply the Pythagorean Theorem and its converse. 7 th Grade English- Analyze characterization 7 th Grade Social Studies- Identify the causes and effects of one or more of the various independence movements in Latin America Earth and Space Science- The student will demonstrate the ability to analyze how the transfer of energy through the hydrosphere and atmosphere influences Earth’s climate and weather.
What is curriculum program evaluation? “The process of systematically determining the quality of a school program and how the program can be improved” (Sanders, 2000) Who decides what will be assessed and evaluated? What questions are to be answered? How might data be gathered and analyzed? What criteria will be used to interpret and judge data? Who analyzes data, makes judgments, and uses judgments?
Evaluating two fundamental challenges for 3S Education -Teachers, Administrators, and students determine what should be assessed and how it will be assessed -Questions that are inclusive of all perspectives, use reflective inquiry and problem solving -Classroom observations, students’ performances, portfolios, quizzes and tests -3S balance (self and social understanding) -All stakeholders (including parents)
Evaluating Platform Designing and Planning for 3S Education -Teachers, Parents, Students, Administrators, Board Members, Community Members, University Professors -Questions should be inclusive of all students, provide alternate views, and be personally Meaningful to Students. Questions are asked to ensure students receive a wide spectrum of understanding. -Raw data will be obtained to “identify whether or not the design group’s aims, assumptions, beliefs, and values were upheld in the translations to the classroom” -Observations, Rubrics to evaluate problem based activities and individualized judgment on students performance -Analysis is done by those who worked on the course
Evaluating Teaching for 3S Understanding -Teachers, Students, Parents, Community Members, Board of Education members, University Professors and Administrators Is it promoting student inquiry? Does it “touch the core of what it means to be human, to live in community with others, to find meaning and purpose, and to create a more just and peaceful world” Observations, dialogue, quizzes, performance tasks, students’ self-assessments, and lesson plans Standardized tests and rubrics All groups above, but its important for students to be engaged in analyzing and judging their own learning